Project READI Technical Reports
Constant Comparison Analysis and Other Classroom Observation Activity
Litman, C., Greenleaf, C., Charney-Sirott, I., Sexton, U., & Brown, W. (2012)
This study draws on field notes and lesson artifacts from observations of 42 San Francisco Bay Area English language arts, history, and science lessons conducted in Year 1 of Project READI, prior to intervention development. These observations surfaced issues that informed READI work throughout the project, including the role of close reading and interactive argumentation in evidence-based argument (E-BA), and attention to the difference between generating and supporting a claim.
Language Arts, History and Science
Litman, C. & Greenleaf, C. with Charney-Sirott, I., Marple, S., & Sexton, U. (2012)
This study draws on field notes and lesson artifacts from observations of 79 San Francisco Bay and Chicago area English language arts, history, and science lessons conducted in Year 1 of Project READI, prior to intervention development. We identified eight themes that represent malleable factors mediating student engagement and learning from higher level literacy tasks: (1) texts; (2) close reading; (3) argumentation; (4) disciplinary knowledge building; (5) teacher direct support for learning; (6) instrumental support for learning; (7) epistemological framing; and (8) participation structures.
The Enduring Impact of Design-based Professional Development on Literacy Instruction in Secondary Subject Areas
Litman, C., Marple, S., & Greenleaf, C. (2015)
Drawing from observations conducted during Year 1 of Project READI, prior to instructional intervention, this mixed-methods study explores differences in opportunities for students to learn offered by teachers who had previously participated in a model of design-based PD versus those who had not. We found that teachers who had participated in PD allocated less time to delivering content and more time to working with text, argumentation, close reading, and cross-textual analysis than comparison teachers.
Classroom Observation Opportunity to Learn Analysis
Litman, C., Marple, S., & Greenleaf, C. with Bolz, M., Charney-Sirott, I., Richardson, L., & Hall, A. (2013)
This mixed-methods study of literacy opportunities to learn (OTL) for students is based on videotapes of middle and high school ELA, history/social studies, and science lessons conducted in California and Chicago during Year 1 of Project READI, prior to instructional intervention. In addition to analysis of OTL, the report includes descriptions of the coding scheme, coder training, and inter-rater reliability that constitute the foundation for analyses of OTL in these classrooms. The report also includes an analysis of grade band differences not reported elsewhere.
Designing Text-Based Investigations for Evidence-Based Argumentation in Science
Greenleaf, C., Brown, W., Hale, G., Sexton, U. (WestEd), & George, M. (UIC) (2012)
This report outlines the approach we designed to simultaneously advance students’ understanding of the nature of science, learning of science concepts, and ability to read and reason with authentic science sources and multiple representations. We focus on engaging students in Text-based Investigations to develop explanatory models of phenomena and offer the research base and design principles underlying the approach.
and Explanatory Models to Measure Learning Outcomes from Instruction
with Text-based Investigation Modules
Brown, W., Greenleaf, C., Marple, S., Reade, F., Charney-Sirott, I., Sexton, U., Hale, G., Ko, M., James, K., & Burkett C. (2016)
This report details the research base, goals, and iterative development of an approach to disciplinary literacy assessment. We undertook this design work to be able to gauge the effects of students’ engagements in Text-based Investigations. We present a coding scheme for analyzing written annotations on texts for evidence of students’ reading processes and ability to use texts for science conceptual learning. We also describe the development and use of a rubric for scoring students’ science models as a measure of science conceptual learning from text.
Studying the Implementation of Text-based Investigations on Water in Middle School Science Classrooms: Lessons from Collaborative Design-based Research
Ko, M., Brown, W. Greenleaf, C., James, K. & George, M. (2013)
This report describes the development, implementation, and iterative refinement of a Text-based Investigation unit on water purity. Over two cycles, the water module was refined to respond to middle school students’ conceptual understandings and learning needs revealed during module implementation.
MRSA in High School Science Classrooms: Lessons from Collaborative
Design-based Research
Greenleaf, C., Brown, W. & Sexton, U. (2013)
This report describes the collaborative design-based research of Project READI as a method of testing and refining our approach to Text-based Investigations in science. Here we detail lessons learned from the implementation of a unit on Methicillin Resistant Staphylococcus Aureus (MRSA) in diverse high school science classrooms.
Studying the Implementation of Text-based Investigations on MRSA in Middle School Science Classrooms: Lessons from Collaborative Design-based Research
Ko, M., Brown, W., Greenleaf, C., & Goldman, S. R. (2013; updated 2016)
Based on the high school MRSA module, we developed a middle school MRSA unit. This report describes the development, implementation, and iterative refinement of the unit in two middle school classrooms.
to Support Evidence-based Argumentation in Science
### Inserted here: calculated molecules
- - -
[1]
- - -
Ko, M., Brown, W., Greenleaf, C., Goldman, S. R., Sela, R., Childers, E., & Juareguy, A. (2013; updated 2016)
In early implementations of Text-based Investigation units we found that students were unfamiliar with the construction and use of models in science. This report describes the collaborative design of a mini-unit on Reading Models in response to students’ need to develop this core disciplinary literacy practice.
Developing and Refining Text-based Investigations on Homeostasis in High School Classrooms: Lessons from Collaborative Design-based Research
# Attached: quantum chemistry results
*w*
DFT (the ωB97M-V functional and the def2-TZVPD basis) results for C6H12N2O as an isolated structure.

Geometry as XYZ:
```
21
Properties=species:S:1:pos:R:3
C 0.81632 2.52152 -0.49754
C 0.18375 0.29271 1.99030
C -1.33500 -1.85739 -0.62200
C 0.03842 0.30311 -0.89131
C -0.22613 0.12429 0.56904
C -0.07485 -1.11096 -0.23366
N 1.13771 -1.91791 -0.25684
O -0.83876 0.77032 -1.87868
N 1.03310 1.09015 -0.37522
H -1.73344 0.80340 -1.51687
H 1.78138 -1.63773 0.47838
H 1.01585 -2.91779 -0.12999
H -0.19051 2.82779 -0.18313
H 1.55304 3.04589 0.11440
H 0.95785 2.84801 -1.53345
H -0.53923 -0.21934 2.63502
H 1.17081 -0.13083 2.20495
H 0.19934 1.34802 2.27203
H -1.28633 -2.16629 -1.66842
H -1.42861 -2.75875 -0.00912
H -2.23471 -1.25821 -0.46789
```

## Properties
- multiplicity = 1
- lowest unoccupied orbital energy (eV) = 0.69
- highest occupied orbital energy (eV) = -7.96
- Kohn-Sham gap (eV) = 8.65

---

*x*
DFT (the ωB97M-V functional and the def2-TZVPD basis) results for C6H12N2O in the gas phase.

Geometry as XYZ:
```
21
Properties=species:S:1:pos:R:3
C 0.67609 -3.05860 -1.26053
C 0.32584 -1.79789 -1.51320
C -0.30313 -0.71855 -0.25861
N -1.45861 -1.22146 0.33778
C 0.36282 0.39013 -0.25469
N 1.57811 0.85279 -0.62870
C -0.56431 1.28977 1.02418
C 0.15694 2.59816 1.25052
O -1.86904 1.55496 0.60935
H 0.49048 -3.51990 -0.29579
H 1.16355 -3.68819 -1.99684
H 0.59039 -1.37835 -2.48243
H -1.35461 -1.36927 1.33649
H -1.70043 -2.10408 -0.10077
H 2.17511 0.18931 -1.10182
H 1.59692 1.79830 -0.97959
H -0.54932 0.69420 1.95105
H 0.17112 3.18939 0.33598
H 1.17422 2.42397 1.59441
H -0.36975 3.17144 2.01570
H -2.29238 0.70385 0.41751
```

## Properties
- multiplicity = 1
- lowest unoccupied orbital energy (eV) = 0.92
- highest occupied orbital energy (eV) = -7.64
- SMILES string = C=C/C(N)=C(\N)[C@@H](C)O
- Kohn-Sham gap (eV) = 8.56

---

*y*
DFT (the ωB97M-V functional and the def2-TZVPD basis) results for C6H12N2O in the gas phase.

Geometry as XYZ:
```
21
Properties=species:S:1:pos:R:3
C 0.00688 2.12710 -1.66756
C -0.42569 1.59912 -0.52651
C -0.79265 2.39001 0.68686
N -0.71061 -0.06726 -0.41763
C 0.37245 -0.64355 0.23146
C 1.67383 -0.79896 -0.51382
C -0.32734 -2.37830 0.41937
N -0.79739 -2.69145 1.65725
O -0.28563 -3.20903 -0.47165
H 0.34357 1.51553 -2.49920
H -0.01345 3.20208 -1.84742
H -0.84225 3.46635 0.47459
H -0.06878 2.24673 1.49428
H -1.78171 2.09059 1.04773
H -0.77702 -0.42668 -1.37199
H 0.51374 -0.25932 1.24473
H 2.27287 0.11372 -0.45465
H 1.50415 -1.04971 -1.56531
H 2.24108 -1.63104 -0.08383
H -1.13667 -3.63235 1.82911
H -0.96936 -1.96356 2.33419
```

## Properties
- multiplicity = 1
- lowest unoccupied orbital energy (eV) = 0.88
- highest occupied orbital energy (eV) = -8.53
- SMILES string = C=C(C)N[C@H](C)C(N)=O
- Kohn-Sham gap (eV) = 9.41

---

*z*
DFT (the ωB97M-V functional and the def2-TZVPD basis) results for a 2-piece molecular cluster, C6H12N2O overall.

Geometry as XYZ:
```
21
Properties=species:S:1:pos:R:3
H 1.72109 1.88555 -0.89358
# The quantum chemistry results stop here
Ko, M., James, K., Brown, W., Greenleaf, C., & Goldman, S. R. (2014; updated 2016)
This report describes the collaborative development and iterative refinement of a Text-based Investigation module focused on homeostasis for high school biology.
Teacher Knowledge, Beliefs, and Practices
Greenleaf, C., Brown, W., Litman, C., Charney-Sirott, I., Cribb, G., & Jensen, R. (2016)
This report details the elaboration of professional development inquiries and how these evolved from resources and inquiries previously developed by SLI. The report explains how the design team incorporated READI learning objectives and curricular resources to leverage and refine these PD inquiry approaches and tools, and how these inquiries were integrated into a professional learning sequence implemented to impact teacher practice and student learning outcomes in the RCT conducted in the final years of the project.
Design Rationale, Learning Goals, and Hypothesized Progressions for Text-based Investigations in Middle and High School Science Classrooms
### Attached: data records
- - -
Entry 1:
- - -
Greenleaf, C., Brown, W., Ko, M., Hale, G., Sexton, U., James, K., & George, M. (2013)
This report updates the design rationale for Text-based Investigations offered in READI Technical Report #17 and lays out the six student learning objectives for science informing the project’s design work. It also offers a vision of how teaching and student learning might progress over the course of a school year to advance these goals.